Abortion Stigma: Emily Letts and the Mark Left Behind

Abortion rights activists have begun a new campaign, one that is designed to erase the negative social “stigma” associated with abortion.  As part of the push, the Abortion Care Network sponsored a “Stigma Busting Video Competition,” and I’m sure by now you have already seen one result of that competition:  Emily Letts’ bizarre video of her abortion procedure.  Emily, who says she was inspired to become an “abortion doula,” says that she wanted to do the video to help women get over the guilt that “our society breeds.”

I don’t entirely blame Emily for her distorted view of where abortion guilt is coming from.  After all, she is only a pawn, albeit a fully knowledgeable and intelligent pawn, being used by the abortion industry.  She is trying to be brave, and she probably believes in some ways that she is helping women.  Yet, her speeches on the video aren’t very convincing proofs that abortion is easy or that you aren’t filled with immense regret when it is finished.  The activists are weakly trying to use her video to inspire more abortions, but I doubt that it is having the desired effect.  Emily seems sad, withdrawn, and sullen, even though she is saying some of the right things.

I’m afraid poor Emily is finding out first hand that the social stigma that her video claims to fight against is the least of her worries.  Emily and other deceived women who were told it was no big deal, that they aren’t ready for children, that they can’t handle this baby, are now plagued with a different kind of stigma.  You see, stigma has another meaning.  It can mean, simply, a mark.

Inserted here: calculated molecules.
/*
[1]
Formula: C10H27NO3S
Source: the Open Molecules 2025 dataset
Level of theory: the ωB97M-V functional and the def2-TZVPD basis

Cartesian coordinates (Å):
S  -1.58  4.64  -0.11
O  1.61  -0.01  -2.37
O  -1.43  1.47  0.35
O  -0.86  5.88  0.32
N  0.98  -1.87  0.85
C  2.24  -1.94  1.54
C  -3.13  4.40  0.75
C  0.94  -0.78  -0.21
C  -0.80  -3.39  -0.22
C  -2.13  5.02  -1.74
C  1.76  -1.00  -1.43
C  0.53  -3.25  0.40
C  -0.02  -1.25  1.95
C  -0.17  -2.11  3.25
C  2.42  -0.25  -3.69
H  2.60  0.64  -4.10
H  1.83  -1.07  -4.14
H  1.14  -3.52  -0.43
H  -0.92  -4.39  -0.53
H  -3.47  3.43  0.21
H  -0.08  -0.49  -0.59
H  -0.71  1.38  -0.24
H  -1.77  -3.21  0.34
H  -0.93  -1.02  1.54
H  -0.90  -2.91  -1.02
H  0.61  -3.83  1.16
H  2.77  -0.99  -1.02
H  -3.90  5.20  0.35
H  3.00  -2.30  1.12
H  2.52  -0.89  1.73
H  2.02  -2.64  2.39
H  1.49  -1.95  -1.92
H  -1.11  -2.05  3.63
H  -2.66  5.95  -1.71
H  -3.01  4.47  1.79
H  -2.95  4.43  -1.91
H  -1.36  5.26  -2.54
H  -0.02  -3.20  3.34
H  3.38  -0.40  -3.54
H  0.71  -1.49  3.88
H  1.21  0.27  0.28
H  0.13  -0.25  2.29

## Properties
M: 241.4 g/mol
Orbital gap: 5.6787 eV
Calculated total energy: -1075.45798 Ha
HOMO level: -0.2109 Ha
Total charge: 0

[2]
Formula: C10H27NO4
Source: the Open Molecules 2025 dataset
Level of theory: the ωB97M-V functional and the def2-TZVPD basis

Cartesian coordinates (Å):
O  -9.73  17.86  7.84
O  -6.80  20.50  9.95
O  -3.02  16.22  6.83
O  -7.37  15.64  9.50
N  -4.85  19.03  8.37
C  -9.26  17.76  6.49
C  -3.92  17.31  6.91
C  -5.57  14.53  10.56
C  -7.55  21.63  10.29
C  -7.01  20.09  8.61
C  -8.87  16.33  6.26
C  -6.95  15.08  10.76
C  -3.57  14.96  7.14
C  -6.29  18.79  8.41
C  -4.00  17.87  8.32
H  -2.99  18.18  8.59
H  -8.37  16.18  5.30
H  -8.41  18.43  6.34
H  -3.98  14.93  8.15
H  -6.58  18.23  7.51
H  -4.26  17.09  9.05
H  -9.69  18.78  8.13
H  -4.90  17.00  6.53
H  -4.34  14.66  6.42
H  -10.04  18.05  5.77
H  -9.72  15.67  6.33
H  -8.30  15.88  9.58
H  -8.09  19.98  8.45
H  -8.12  16.06  7.01
H  -7.15  22.54  9.84
H  -4.57  19.72  9.05
H  -5.53  13.87  9.70
H  -6.95  15.84  11.54
H  -6.64  20.87  7.93
H  -7.51  21.74  11.38
H  -7.65  14.29  11.01
H  -5.23  13.96  11.43
H  -3.52  18.10  6.28
H  -4.81  15.31  10.47
H  -2.74  14.25  7.08
H  -8.61  21.49  10.04
H  -6.55  18.08  9.21

## Properties
M: 225.3 g/mol
Structure (SMILES): COCCNCCOC.CCO.CCO
Orbital gap: 9.1238 eV
Calculated total energy: -752.84708 Ha
HOMO level: -0.3089 Ha
Total charge: 0

[3]
Formula: C10H27OPtSe4Si3
Source: the Open Molecules 2025 dataset
Level of theory: the ωB97M-V functional and the def2-TZVPD basis

Cartesian coordinates (Å):
Pt  0.96  -2.06  -0.53
Se  3.22  -1.34  -0.52
Se  -0.01  -5.04  -2.47
Se  1.66  -4.35  -1.13
Se  4.26  -1.96  -2.41
Si  0.82  1.35  -1.19
Si  0.28  0.21  1.65
Si  -1.46  -0.71  -0.69
O  -0.70  -0.93  2.39
C  -2.97  0.10  0.09
C  0.19  -0.07  -0.15
C  -1.48  -2.53  -0.15
C  1.99  0.05  2.42
C  -1.76  -0.72  -2.55
C  -0.40  1.88  2.20
C  -0.70  -1.13  3.78
*/

So, these women move on with their lives, and they have no stretch marks to show for their pregnancies.  They have no sagging breasts or widened hips.  They have no squishy bellies that say that they once carried a living being inside of them.  But, they are marked.  They live with the knowledge of a baby that should have been.  And, they carry the heavy burden of guilt and remorse, even if they do feel relief that they didn’t have the baby.  The stigma that marks their spirits–mothers’ spirits–can’t be erased by thoughtful videos or enlightened-sounding conversations about abortion in Cosmo.

In fact, the spiritual stigma that wears on them and wears them out and seems everywhere is much, much harder to live with than the social stigma.  Because no voice of reason can truly make it go away.  No amount of loud postulating or quiet offerings of this-was-right-for-me can make it disappear.  It is real, and heavy, and immovable.

But, there is one who can cover the stigma on broken mama spirits.  And, He has a stigma or two of his own.  His hands and feet are marked with scars that say that no dark spot on a human soul need remain.  His marks whisper love to the Emilys of the world.

Jesus, the stigma bearer, the only hope for any of us.